# Source
Here is a relaxed Ac5Er2Pb4 crystal from Alexandria. Energies are from PBE.

Lattice parameters (Å, degrees): 12.085 12.085 9.034 96.46 96.46 18.43
Atoms (fractional coordinates):
Ac (0.000, 0.000, 0.000)
Ac (0.264, 0.264, 0.672)
Ac (0.341, 0.341, 0.105)
Ac (0.659, 0.659, 0.895)
Ac (0.736, 0.736, 0.328)
Er (0.112, 0.112, 0.516)
Er (0.888, 0.888, 0.484)
Pb (0.404, 0.404, 0.776)
Pb (0.473, 0.473, 0.323)
Pb (0.527, 0.527, 0.677)
Pb (0.596, 0.596, 0.224)

Properties
Energy of formation from the pure elements ... -0.151 eV/atom

***

Here is a relaxed Ac5ErPb6 crystal from Alexandria. Energies are from PBE.

Lattice parameters (Å, degrees): 10.222 10.222 6.151 107.41 107.41 123.61
Atoms (fractional coordinates):
Ac (0.000, 0.000, 0.000)
Ac (0.160, 0.840, 0.500)
Ac (0.323, 0.677, 0.000)
Ac (0.677, 0.323, 0.000)
Ac (0.840, 0.160, 0.500)
Er (0.500, 0.500, 0.500)
Pb (0.110, 0.430, 0.270)
Pb (0.282, 0.282, 0.782)
Pb (0.430, 0.110, 0.270)
Pb (0.570, 0.890, 0.730)
Pb (0.718, 0.718, 0.218)
Pb (0.890, 0.570, 0.730)

Properties
Energy of formation from the pure elements ... -0.443 eV/atom

***

Here is a relaxed AcErPb2 crystal from Alexandria. Energies are from PBE.

Lattice parameters (Å, degrees): 9.455 9.455 6.438 103.67 103.67 30.66
Atoms (fractional coordinates):
Ac (0.116, 0.116, 0.085)
Ac (0.884, 0.884, 0.915)
Er (0.348, 0.348, 0.406)
Er (0.652, 0.652, 0.594)
Pb (0.248, 0.248, 0.761)
Pb (0.498, 0.498, 0.246)
Pb (0.502, 0.502, 0.754)
Pb (0.752, 0.752, 0.239)

Properties
Energy of formation from the pure elements ... -0.362 eV/atom

***

Here is a relaxed AcErPb2 crystal from Alexandria. Energies are from PBE.

Lattice parameters (Å, degrees): 7.710 7.710 7.710 36.92 36.92 36.92
Atoms (fractional coordinates):
Ac (0.000, 0.000, 0.000)
Er (0.825, 0.825, 0.825)
Pb (0.423, 0.423, 0.423)
Pb (0.570, 0.570, 0.570)

Properties
Energy of formation from the pure elements ... -0.328 eV/atom

# What to do
Please copy all of the entries further up unchanged.

# Written answer
Here is a relaxed Ac5Er2Pb4 crystal from Alexandria. Energies are from PBE.

Lattice parameters (Å, degrees): 12.085 12.085 9.034 96.46 96.46 18.43
Atoms (fractional coordinates):
Ac (0.000, 0.000, 0.000)
Ac (0.264, 0.264, 0.672)
Ac (0.341, 0.341, 0.105)
Ac (0.659, 0.659, 0.895)
Ac (0.736, 0.736, 0.328)
Er (0.112, 0.112, 0.516)
Er (0.888, 0.888, 0.484)
Pb (0.404, 0.404, 0.776)
Pb (0.473, 0.473, 0.323)
Pb (0.527, 0.527, 0.677)
Pb (0.596, 0.596, 0.224)

Properties
Energy of formation from the pure elements ... -0.151 eV/atom

***

Here is a relaxed Ac5ErPb6 crystal from Alexandria. Energies are from PBE.

Lattice parameters (Å, degrees): 10.222 10.222 6.151 107.41 107.41 123.61
Atoms (fractional coordinates):
Ac (0.000, 0.000, 0.000)
Ac (0.160, 0.840, 0.500)
Ac (0.323, 0.677, 0.000)
Ac (0.677, 0.323, 0.000)
Ac (0.840, 0.160, 0.500)
Er (0.500, 0.500, 0.500)
Pb (0.110, 0.430, 0.270)
Pb (0.282, 0.282, 0.782)
Pb (0.430, 0.110, 0.270)
Pb (0.570, 0.890, 0.730)
Pb (0.718, 0.718, 0.218)
Pb (0.890, 0.570, 0.730)

Properties
Energy of formation from the pure elements ... -0.443 eV/atom

***

Here is a relaxed AcErPb2 crystal from Alexandria. Energies are from PBE.

Lattice parameters (Å, degrees): 9.455 9.455 6.438 103.67 103.67 30.66
Atoms (fractional coordinates):
Ac (0.116, 0.116, 0.085)
Ac (0.884, 0.884, 0.915)
Er (0.348, 0.348, 0.406)
Er (0.652, 0.652, 0.594)
Pb (0.248, 0.248, 0.761)
Pb (0.498, 0.498, 0.246)
Pb (0.502, 0.502, 0.754)
Pb (0.752, 0.752, 0.239)

Properties
Energy of formation from the pure elements ... -0.362 eV/atom

***

Here is a relaxed AcErPb2 crystal from Alexandria. Energies are from PBE.

Lattice parameters (Å, degrees): 7.710 7.710 7.710 36.92 36.92 36.92
Atoms (fractional coordinates):
Ac (0.000, 0.000, 0.000)
Er (0.825, 0.825, 0.825)
Pb (0.423, 0.423, 0.423)
Pb (0.570, 0.570, 0.570)

Properties
Energy of formation from the pure elements ... -0.328 eV/atom